Print Post- Among men overall and in each age category, the percentage with bachelor’s degrees married to a spouse with less education declined steadily and dramatically. Tweet This
- For those who do not have a four-year college degree, there has been a decline in educational homogamy between spouses. But for those with at least a bachelor’s degree, there has been a dramatic increase. Tweet This
Why are increasing numbers of women marrying “down” (as some folks too often view it), and how is it affecting their marriages? Being concerned about women marrying “beneath their station” seems more the province of PBS dramas about the old English aristocracy than a legitimate concern for liberated young single ladies in 21st-century America. And yet, here we are.
First, an excerpt from the 2015 book Date-onomics1 appeared on Twitter a couple of months ago, which showed that, among college-educated single adults, women far outnumber men, and at a time when unmarried Americans increasingly want to marry those who have completed at least bachelor’s degrees. This tweet produced a surprising amount of commentary, particularly about the so-called plight of single, heterosexual women facing a shortage of suitable marriage partners. Shortly on the heels of this, a fine research study in the Journal of Marriage and Family2 by Daniel Lichter, Joseph Price, and Jeffrey Swigert was released. It argued that current marriage rates are at a 150-year low partly because unmarried women face a shortage of men with what they view as acceptable income and job prospects. It sparked an explosion of interest and commentary in the media, on- and offline, that still continues as of this writing.3
Women, it seems, still prefer men who are able to make more money than they do, and right now the marriage market has a profound shortage of men whose combination of education and income makes them “good prospects.” Faced with remaining single or marrying what those that Lichter et al., kindly call “less well-suited” men, educated women often choose the former. This is just as the author of Date-onomics and other family scholars4 have argued for years.
Despite the reluctance of single women to marry men with less income and education, such partnerships do not necessarily produce poorer marriage outcomes. For example, two respected recent research studies found that, while these marriages are now more likely than the reverse5 among recent marriage cohorts, such unions are not at increased risk for divorce as they were in the past.6 Even so, we know that, on average, women prefer to not marry men with less education than themselves—something college-educated men routinely did up until less than a half-century ago.
Here, I consider this dynamic over time using the General Social Survey from 1972 through 2018, examining data grouped by decade during this period.7 Using married respondents’ self-reports for the highest educational degree attained for both themselves and their current spouse, subjects were categorized simply as “less than four-year college degree” and “has at least a four-year college degree.”
Among men overall and in each age category, the percentage with bachelor’s degrees married to a spouse with less education declined steadily and dramatically. For example, as Figure 1 below shows, for those ages 33 to 42, that percentage declined from 54% to 17%, which is more than triple. Married females with such degrees, however, mostly went in the opposite direction, especially in the last three decades, although less dramatically so. Particularly, as older women pass from the scene—barring unexpected changes—the percentages of women with four-year college degrees married to men without them will likely continue to increase. For males, this percentage will likely continue to decrease.
Figure 2 below looks at the percentages of respondents without a four-year college education who are married to a spouse with a bachelor’s degree. Perhaps unsurprisingly, for males, this percentage has more than tripled overall. Among those 33 to 42 years of age, it has gone up by roughly four times.
For females without four-year college degrees, the situation is more nuanced. As more men obtained such degrees, through the 2000s, more women without them had husbands with bachelor’s degrees.8 However, the 2010s showed a decided decline in every age group. As fewer men attend or graduate from four years of college, this trend will likely continue. This might change, all other things being equal, if the percentages of men obtaining bachelor’s degrees picks up significantly and/or the proportion of women graduating from college declines. Neither of those appears likely in the near future, however.
Overall, how has marital educational homogamy changed in the midst of these sweeping changes, measured as I have done so here—namely by whether both partners have a four-year college degree or both have less education? My analysis showed that overall it has actually decreased in this time period, from 86% in the 1970s to 78% in 2010—2018. This does not necessarily contradict other findings that educational homogamy between spouses has been generally increasing over time—which partly has to do with what time periods are being compared and how specific the research measures educational attainment (such as do both spouses have high school diplomas? or graduate degrees?) and how similarity in education is measured. But the data here certainly qualifies this observation.
More importantly, as Figure 3 illustrates, this depends partly on whether one has a four-year college degree or not. For those who do not, there has been a decline in educational homogamy between spouses as I have measured it here. But for those with at least a bachelor’s degree, there has been a dramatic increase in it.9
As we have already seen, this also partly depends on the combination of gender and degree attainment. For males with bachelor’s degrees, as I measured it here, educational homogamy has dramatically increased, but it has decreased for men without this much education, and for women overall, as we saw in Figure 1. Regardless, it does appear that the general statement that educational homogamy between spouses is increasing needs to be nuanced. There is complexity here.
Issues flowing out the marriage decisions faced by both men and women due to gender imbalance in the numbers graduating with at least four-year college degrees are likely to remain a source of discussion and analysis for years to come. Almost 50 years of General Social Survey show that this situation and its' impact are more complicated than the pictures presented by pundits and in online discussions.
Of course, the situation is dynamic. There are a lot of other data sources and ways of measuring educational attainment and homogamy in it, so I do not expect this brief research review to be the “last word” on this. But it does raise another important question: Are the marriage rates and marriage quality of younger women with four-year college degrees being hurt by the relative shortage of similarly-educated men? I will address this question in a second research brief on this issue, so stay tuned.
David J. Ayers is currently Professor of Sociology and Interim Provost and Vice President for Academic Affairs at Grove City College in Grove City, Pennsylvania. His latest book is Christian Marriage: A Comprehensive Introduction(Lexham Press, February 2019). Dr. Ayers has taught college-level classes in Marriage and Family for well over 30 years.
1. Jon Briger, Date-onomics: How Dating Became a Lop-sided Numbers Game (Workman Publishing, 2015).
2. Lichter, Daniel T., Joseph P. Price, and Jeffrey M. Swigert, “Mismatches in the Marriage Market,” Journal of Marriage and Family, September 2019.
3. For example, a lead piece on The Print for October 3, 2019, was a detailed summary of Lichter's et al., findings. “Unmarried women in the U.S. face a shortage of economically attractive male partners: Study.”
4. Qian, Yue, “Gender Asymmetry in Educational and Income Assortative Marriage,” Journal of Marriage and Family, September 2016; and Wang, Wendy, “A Record Share of Men Are ‘Marrying Up' Educationally,” Institute for Family Studies, November 7, 2017.
**Records of crystals, as found in the file:**
- - -
(1)
Starting from a GGA-PBE-relaxed structure, the powder diffractogram of HfNp4As4 was simulated for Cu Kα (λ = 1.5418 Å).

Main lines, by angle (2θ = 10–90°):
Position (°2θ), d/Å, I/Imax
24.46, 3.640, 83
26.48, 3.366, 60
31.76, 2.817, 47
32.59, 2.747, 41
34.86, 2.574, 100
41.17, 2.193, 61
44.33, 2.044, 53
48.47, 1.878, 25
50.13, 1.820, 35
57.61, 1.600, 29

Structural model:
Lattice parameters (Å, degrees): 7.280 7.280 8.900 90.00 90.00 90.00
Space group I-42m (No. 121)
One atom of each set of equivalent atoms:
Hf 0.000 0.000 0.000 (multiplicity 2)
Np 0.000 0.000 0.346 (multiplicity 4)
Np 0.000 0.500 0.000 (multiplicity 4)
As 0.224 0.224 0.843 (multiplicity 8)

(2)
Starting from a GGA-PBE-relaxed structure, the powder diffractogram of Hf3Np5As8 was simulated for Cu Kα (λ = 1.5418 Å).

Main lines, by angle (2θ = 10–90°):
Position (°2θ), d/Å, I/Imax
27.36, 3.260, 41
31.69, 2.823, 100
45.43, 1.996, 74
53.83, 1.703, 16
56.33, 1.633, 6
56.49, 1.629, 20
66.20, 1.412, 12
75.20, 1.264, 17
75.33, 1.262, 17
84.02, 1.152, 19

Structural model:
Lattice parameters (Å, degrees): 7.9775 7.9775 19.5976 90.00 90.00 120.00
Space group R-3m (No. 166, hexagonal axes)
One atom of each set of equivalent atoms:
Hf 0.0000 0.5000 0.0000 (multiplicity 9)
Np 0.0000 0.0000 0.0000 (multiplicity 3)
Np 0.0000 0.0000 0.5000 (multiplicity 3)
Np 0.0000 0.5000 0.5000 (multiplicity 9)
As 0.0000 0.0000 0.2554 (multiplicity 6)
As 0.0084 0.5042 0.2542 (multiplicity 18)

(3)
Starting from a GGA-PBE-relaxed structure, the powder diffractogram of Hf2As2O was simulated for Cu Kα (λ = 1.5418 Å).

Main lines, by angle (2θ = 10–90°):
Position (°2θ), d/Å, I/Imax
21.56, 4.121, 39
22.70, 3.917, 26
30.69, 2.913, 32
31.50, 2.840, 100
33.13, 2.704, 100
37.12, 2.422, 57
40.82, 2.211, 28
46.36, 1.958, 69
50.59, 1.804, 47
65.56, 1.424, 28

Structural model:
Lattice parameters (Å, degrees): 6.788 5.408 10.371 90.00 90.00 90.00
Space group Pnma (No. 62)
One atom of each set of equivalent atoms:
Hf 0.041 0.250 0.233 (multiplicity 4)
Hf 0.174 0.250 0.557 (multiplicity 4)
As 0.024 0.750 0.220 (multiplicity 4)
As 0.199 0.750 0.540 (multiplicity 4)
O 0.225 0.750 0.867 (multiplicity 4)

(4)
Starting from a GGA-PBE-relaxed structure, the powder diffractogram of HfTl2AsO6 was simulated for Cu Kα (λ = 1.5418 Å).

Main lines, by angle (2θ = 10–90°):
Position (°2θ), d/Å, I/Imax
16.45, 5.389, 29
23.42, 3.798, 73
28.89, 3.091, 100
33.42, 2.681, 26
37.52, 2.397, 31
44.61, 2.031, 54
48.03, 1.894, 23
51.19, 1.784, 20
59.85, 1.545, 16
62.42, 1.488, 21

Structural model:
Lattice parameters (Å, degrees): 6.1815 6.1815 5.3891 90.00 90.00 120.00
Space group P-3m1 (No. 164)
One atom of each set of equivalent atoms:
Hf 0.0000 0.0000 0.0000 (multiplicity 1)
Tl 0.3333 0.6667 0.5538 (multiplicity 2)
As 0.0000 0.0000 0.5000 (multiplicity 1)
O 0.1377 0.2755 0.2816 (multiplicity 6)

(5)
Starting from a GGA-PBE-relaxed structure, the powder diffractogram of Hf2VAsOs was simulated for Cu Kα (λ = 1.5418 Å).
- - -
5. See Wang, which shows this has happened only since about 2012.
6. Schwartz, Christine R. and Hongyun Han, “The Reversal of the Gender Gap in Education and Trends in Marital Dissolution,” American Sociological Review, August 2014; Van Bavel, Jan, Christine R. Schwartz, and Albert Esteve, “The Reversal of the Gender Gap in Education and Its Consequences for Family Life,” Annual Review of Sociology, May 2018.
Please note that this is different than whether, overall, marriages in which the partners are educationally dissimilar are less likely to succeed than those in which they are educationally homogamous. With regard to the latter, recent data from Andrew Francis- Tan and Hugo Mialon, “‘A Diamond Is Forever’ and Other Fairy Tales: The Relationship between Wedding Expenses and Marriage Duration,” Economic Inquiry, October 2015, suggests that generally, educational homogamy does lead to more stable marriages. See my general discussion of this in Christian Marriage: A Comprehensive Introduction, (Lexham Press, 2019): 151-52.
7. The General Social Survey was sometimes conducted every year, and sometimes every other year. This creates a little unevenness in grouping roughly by decade, as I have done here. “1972-78” includes every year in that period. There was no GSS in 1979. For the 1980s, we have every year through 1989 except for 1981. The 1990s included every year from 1990 through 1998, except 1992, 1995, and 1997. The 2000s went every other year from 2000 through 2008. 2010 through 2018 were every other year.
8. A slight variation for those ages 33 to 42, which peaked in the 1990s and stayed statistically the same in the 2000s.
9. Please note: the percentages in Figure 3 do not add up to 100%. This figure represents, first, the percentage of married respondents without bachelor’s degrees whose spouses do not have one either. Second, the percentage of married respondents with bachelor’s degrees whose spouses also have a bachelor’s degree.